Driven by the United Arab Emirates (UAE), there is a trend in the Arab world toward normalisation with Israel. Yet some regional states want nothing to do with this agenda.
Last month, the Iraqi parliament passed a law called “Criminalising Normalisation and Establishment of Relations with the Zionist Entity Law.” Based on similar legislation from 1969, the law prohibits contact with Israeli entities in the “cultural, political, scientific, commercial, economic, media, or security sphere.” Punishments are harsh, and include life imprisonment and death sentences.
All 275 lawmakers who attended the session voted for this law. The main agent behind this legislation was Muqtada al-Sadr, who declared that he would, if necessary, shed his own “blood” to prevent any Iraqi-Israeli diplomatic accord. Al-Sadr effectively unified both his political allies and rivals behind this legislation. This was a populist move that threw red meat to conservative Shia Islamists—including those aligned (and not) with Iran.
"The Iraqi parliament put out a statement about this legislation reflecting “the will of the [Iraqi] people.” But in the Kurdistan Region, there has been much sympathy for Israel"
“I would look at this primarily as a politically motivated action, particularly by those pro-Sadrists and Sadr himself, who I think is using this as a way to build a broader consensus among the pro-Iranian militias and the pro-Iranian groups that he has failed to bring on board in this current stage of forming a government,” explained Andreas Krieg, an associate professor at the School of Security Studies at King’s College London, in an interview with The New Arab.
“It’s a way for Sadr to bridge the gap to bring some of these socially conservative Shia Islamists on his side, who’ve been usually on the pro-Iranian side and against him. It’s a form of political populism more than anything else.”
Domestic tensions inside Iraq
The Iraqi parliament put out a statement about this legislation reflecting “the will of the [Iraqi] people.” But in the Kurdistan Region, there has been much sympathy for Israel and Iraqi Kurds have long maintained political relationships with Tel Aviv.
In September 2021, a controversial conference took place in Erbil. The event was organised by the Centre for Peace Communications, a New York-based non-profit, approved by the Kurdistan Regional Government (KRG) and attended by Iraqi sheikhs. Yet the conference led to arrest warrants for certain participants and even death threats.
Considering the energy links between the Kurdistan region and Israel, the enforcement of this law has much potential to exacerbate friction between Iraqi Arabs and Kurds against the backdrop of many long standing problems between Iraq’s central government and the KRG.
The new anti-normalisation law could also be weaponised against Sunni Arab dissidents, warned Tallha Abdulrazaq, an expert in Middle Eastern strategic and security affairs, in an interview with The New Arab.
“I’m a British-Iraqi and in my academic work I engage sometimes with Israeli academics, policymakers, and even lawmakers on occasion…I’m exactly the kind of target whom they’d like to sweep up in this sort of thing because I’m a dissident of the political process and I’m a Sunni. There’s a political aspect and a sectarian aspect to this…So, if you have any interactions with an Israeli entity, they can target you with this law.” He added that “this is going to have a chilling effect on academics abroad and people who work in the media.”
Implications for doing business in Iraq
This legislation could also have negative implications for Iraq’s economy and foreign investment climate. Depending on the extent to which authorities enforce this law, investors might worry more about the potential risks of doing business in Iraq on top of concerns surrounding the country’s overall state of insecurity.
There could be “possible obstacles to foreign direct investment in Iraq by companies that feel constrained by their own policies or the laws in their home countries that would penalise anything that looks like cooperating in a boycott of Israel,” according to analysts Yerevan Saeed and Hussein Ibish.
Initially, a more draconian draft version of the law containing a provision to expel international firms and investors and have the state take over their assets if they were doing business in Israel and Iraq was proposed.
Ultimately, the lawmakers decided to remove that provision, but there is a fair amount about the law’s framing which leaves questions open. “It’s still very hard to understand what this means in practice—not for Iraqis but particularly for companies and internationals who go into Iraq and work in Iraq,” Krieg told TNA.
_Records of molecules, as found in the file_
-- begin --
[1]
# C4H10N3O

A gas-phase ion, C4H10N3O (charge +1) in a non-equilibrium geometry (ωB97M-V/def2-TZVPD, OMol25).

Last columns: bonded neighbours and bond lengths (Å).
Element x y z (Å)
1 C -2.57 0.41 0.04  N2 1.479, H9 1.094, H10 1.089, H11 1.064
2 N -1.11 0.16 0.07  C1 1.479, C3 1.474, N7 1.290
3 C -0.60 -1.18 -0.25  N2 1.474, C4 1.510, H12 1.104, H13 1.069
4 C 0.90 -1.10 -0.07  C3 1.510, N5 1.393, H14 1.193, H15 1.214
5 N 1.24 0.20 -0.42  C4 1.393, C6 1.416, N7 1.681
6 C 2.37 0.81 0.17  N5 1.416, H16 1.069, H17 1.101, H18 1.081
7 N -0.16 1.03 0.02  N2 1.290, N5 1.681, O8 1.210
8 O -0.21 2.23 0.11  N7 1.210
9 H -2.94 -0.25 0.83  C1 1.094
10 H -2.83 1.46 -0.01  C1 1.089
11 H -3.04 0.04 -0.85  C1 1.064
12 H -1.05 -1.53 -1.19  C3 1.104
13 H -0.93 -1.94 0.43  C3 1.069
14 H 1.20 -1.41 1.04  C4 1.193
15 H 1.56 -1.85 -0.77  C4 1.214
16 H 2.33 1.88 0.14  C6 1.069
17 H 2.61 0.45 1.18  C6 1.101
18 H 3.23 0.59 -0.45  C6 1.081

Summary:
- Relative energy (zero: lowest compared OMol25 entry of this formula, charge and spin): 4.750 eV
- Net charge: +1
- LUMO level: -4.92 eV
- Electronic energy: -397.50472 Eh
- Orbital gap: 9.694 eV

***

[2]
# C3H10N3O2

2 unconnected molecules or ions with the total composition C3H10N3O2 (ωB97M-V/def2-TZVPD, OMol25).

Last columns: bonded neighbours and bond lengths (Å).
Element x y z (Å)
1 C -1.59 1.29 0.21  C2 1.344, N4 1.368, H5 1.085
2 C -1.43 0.23 -0.61  C1 1.344, N3 1.479, H6 1.078
3 N -0.22 0.17 -1.45  C2 1.479, H7 1.018, H8 1.047, H9 1.020
4 N -2.67 1.49 1.03  C1 1.368, H10 1.004, H11 1.009
5 H -0.87 2.10 0.21  C1 1.085
6 H -2.21 -0.46 -0.87  C2 1.078
7 H 0.31 1.04 -1.42  N3 1.018
8 H 0.44 -0.57 -1.12  N3 1.047
9 H -0.49 -0.04 -2.42  N3 1.020
10 H -3.32 0.74 1.15  N4 1.004
11 H -2.39 1.90 1.91  N4 1.009
12 N 1.97 -1.43 -0.40  C13 1.425, H16 1.014, H17 1.015
13 C 2.21 -0.56 0.70  N12 1.425, O14 1.343, O15 1.186
14 O 1.72 -0.99 1.87  C13 1.343, H18 0.961
15 O 2.78 0.47 0.59  C13 1.186
16 H 1.97 -2.39 -0.09  N12 1.014
17 H 2.74 -1.31 -1.05  N12 1.015
18 H 1.06 -1.68 1.75  O14 0.961

Summary:
- Relative energy (zero: lowest compared OMol25 entry of this formula, charge and spin): 2.072 eV
- Net charge: +1
- LUMO level: -3.23 eV
- Electronic energy: -434.82397 Eh
- Orbital gap: 9.939 eV

***

[3]
# C22H52N2O5

5 unconnected molecules or ions with the total composition C22H52N2O5 in a non-equilibrium geometry (ωB97M-V/def2-TZVPD, OMol25).

Last columns: bonded neighbours and bond lengths (Å).
Element x y z (Å)
1 C -6.91 4.41 -3.30  C2 1.533, H12 1.090, H13 1.090, H14 1.090
2 C -6.16 5.30 -4.30  C1 1.533, C3 1.520, C4 1.541, N10 1.534
3 C -7.11 5.59 -5.45  C2 1.520, H15 1.090, H16 1.090, H17 1.090
4 C -5.72 6.61 -3.63  C2 1.541, C5 1.600, H18 1.090, H19 1.090
5 C -4.50 6.42 -2.62  C4 1.600, C6 1.562, H20 1.090, H21 1.090
6 C -3.29 5.82 -3.42  C5 1.562, C7 1.613, H22 1.090, H23 1.090
7 C -3.68 4.45 -4.17  C6 1.613, C8 1.550, C9 1.571, N10 1.453
8 C -2.52 4.27 -5.18  C7 1.550, H24 1.090, H25 1.090, H26 1.090
-- stop --
"It came as no shock that Iran quickly expressed support for the legislation. Equally unsurprising was the condemnation from Western powers"
Yet, Abdulrazaq believes that this law will not be weaponised against foreign corporations with links to Israel given Iraq’s current economic problems.
“The Iraqi economy is in absolute shambles…They need these foreign companies [and] foreign direct investment…This is more for popular consumption. It’s not meant as a stick meant to beat foreign companies with. They need them for their economy…If these guys were to leave, then that’s it for Iraq. There’d be almost nothing there for them. Even in terms of their oil sales, it’s not enough. It’s not enough to sustain Iraq itself. They will not chasing any foreign corporations any time soon.”
Regional ramifications
It came as no shock that Iran quickly expressed support for the legislation. Equally unsurprising was the condemnation from Western powers. The US State Department immediately spoke out against the new law, stating that Washington “stands in stark contrast to the progress Iraq’s neighbours have made in building bridges and normalising relations with Israel, creating new opportunities for people throughout the region.” Officials in London had a similar reaction.
President Joe Biden’s team seeks to build on the Trump administration’s efforts to lure Arab countries toward the normalisation path. Although no new Arab state has entered the Abraham Accords during Biden’s presidency, US Secretary of State Antony Blinken has made it clear that this is one of the current administration’s goals in the Middle East and North Africa. The passage of this law was a strong message to Washington that Iraq has zero interest in this wave of normalisation.
Some experts, however, don’t expect this legislation to have much of any impact on Iraq’s ties to Western governments. “As is the case with many Middle Eastern nations, rhetoric against Israel sells and it’s something that they can always fall back on when they’re doing poorly. If they’re politically suffering in the sense that people aren’t buying their spiel anymore, they’ll immediately fall back on this,” said Abdulrazaq.
“Western capitals are very clued up to this fact that generally so-called anti-Zionist governments aren’t really that anti-Zionist and eventually over time they can be cajoled into either working with Israel under the table, or they’ll formalise some kind of diplomatic deal like they have done with the Abraham Accords.”
This law is also a signal from Iraq to Gulf Cooperation Council (GCC) members. Baghdad’s message is that Abu Dhabi’s US-backed efforts to bring more Arab countries into the Abraham Accords is something Iraq’s officials want nothing to with as they firmly reject normalisation.
Molecular data that have nothing to do with the entry:
=====
w | 10
Properties=species:S:1:pos:R:3 method="wB97M-V/def2-TZVPD" smiles="[H]/N=C(/C=O)OC=O" orbital_gap_ev=10.4
N -0.9559 1.4789 -0.8411
C -0.5108 0.4009 -0.3738
O 0.6328 -0.2262 -0.8368
C 1.5714 -0.4982 0.1123
O 1.5975 0.0032 1.1977
C -1.2672 -0.4229 0.6463
O -0.9308 -1.5527 0.8931
H -0.3162 1.8522 -1.5480
H 2.2973 -1.2112 -0.2933
H -2.1390 0.0580 1.1196

***

x | 10
Properties=species:S:1:pos:R:3 method="wB97M-V/def2-TZVPD" orbital_gap_ev=9.7
N 0.7824 0.1738 -0.5775
C -0.1063 0.1151 0.3611
O -0.8790 -0.8895 0.2098
C -0.0690 -1.2614 -1.2845
O 0.4922 -2.2964 -1.3685
C -0.2689 1.0984 1.5005
O -1.1639 1.0101 2.2963
H 1.4605 0.9171 -0.6973
H -0.7464 -0.7635 -1.9835
H 0.4985 1.8965 1.5435

***

y | 10
Properties=species:S:1:pos:R:3 method="wB97M-V/def2-TZVPD" orbital_gap_ev=9.7
N 0.9024 -1.5768 -0.9415
C 0.4320 -0.5956 -0.3125
O -0.1011 -0.7643 0.9751
C -0.6230 0.3064 1.6007
O -0.6400 1.4256 1.1664
C 0.6087 0.8076 -0.8303
O -0.3380 1.0399 -1.7032
H 0.8268 -2.4396 -0.4015
H -1.0384 -0.0014 2.5680
H -0.1802 1.9208 -2.0777

***

Computed stability ranking, most favorable first: w, x, y

***

w | 17
Properties=species:S:1:pos:R:3 method="wB97M-V/def2-TZVPD" smiles="O=CC[N@H+]1C=NCC1" charge=+1 orbital_gap_ev=11.2
C 1.1580 -1.5699 -0.9123
C -0.0312 -0.5438 -1.0632
C -0.4753 1.5494 0.1503
C -1.6178 0.8870 1.0261
C 0.8280 -0.5652 0.9596
N 1.2964 -1.6170 0.5581
N 0.4499 0.5176 -0.1651
O -1.6390 -0.1870 1.4894
H 1.9674 -0.8284 -1.0250
H -0.3520 -0.2507 -2.0099
H -0.9614 -0.9473 -0.6596
H -1.1106 1.9059 -0.6065
H 0.0136 2.2993 0.8105
H -2.4832 1.5178 1.2473
H 0.9191 -2.5450 -1.1301
H 0.7187 -0.4466 2.0037
H 1.3192 0.8238 -0.6733

***

x | 17
Properties=species:S:1:pos:R:3 method="wB97M-V/def2-TZVPD" charge=+1 orbital_gap_ev="8.5 / 7.1"
C -0.8817 -1.1714 0.3381
C 1.1157 1.8815 -0.2917
C 0.0900 1.0879 0.4755
C -0.2583 1.8326 -0.7391
C 0.2556 -0.3797 0.1693
N -2.0399 -0.7609 0.8110
N 1.4503 -0.8952 -0.2472
O -0.8220 -2.4627 -0.0095
H 1.5055 2.7190 0.3759
H 1.8634 1.3145 -0.8990
H -0.3244 1.4485 1.3787
H -0.6239 1.6979 -1.8193
H -2.1661 0.2955 0.7536
H -2.8792 -1.3125 0.7943
H 2.4476 -0.7015 0.0864
H 1.3619 -1.8111 -0.7329
H -0.0947 -2.7824 -0.4441

***

Computed stability ranking, most favorable first: w, x

***

w | 17
Properties=species:S:1:pos:R:3 method="wB97M-V/def2-TZVPD" charge=+1 orbital_gap_ev="8.1 / 6.2"
C 1.2389 -1.1679 -2.0279
C 2.0536 -0.5168 -1.1134
C -0.0523 -1.1225 -1.4866
C 1.6303 0.6160 1.0848
C -2.6684 0.3408 0.8001
N 1.2799 -0.1153 -0.0957
N 0.0443 -0.5101 -0.3315
O -1.4315 0.3064 1.2142
H 1.5260 -1.6365 -2.9464
H 3.1081 -0.3263 -1.1325
H -0.9724 -1.5098 -1.8731
H 2.6865 0.8716 1.0578
H 1.0312 1.5255 1.1421
H 1.4218 0.0163 1.9720
H -2.8986 1.1121 0.0448
H -3.2408 0.6341 1.7171
H -3.1162 -0.6511 0.5815

***

x | 17
Properties=species:S:1:pos:R:3 method="wB97M-V/def2-TZVPD" charge=+1 orbital_gap_ev="7.1 / 7.1"
C -0.7487 1.8644 0.1771
C -1.6278 0.7696 0.3264
C 0.5336 1.5127 -0.2026
C -1.6959 -1.6894 0.0188
C 1.9598 -0.4967 -0.4420
=====
So far, the GCC states have had muted responses to the Iraqi parliament passing this anti-Israel legislation. The Gulf monarchies hope to avoid increased friction with Baghdad vis-à-vis this law as well as perceptions of GCC states meddling in Iraq’s internal affairs.
"With the UAE and three other Arab countries having entered the Abraham Accords while Washington seeks to bring more in, there is good reason to expect friction surrounding this normalisation question to intensify"
Backlash against the Abraham Accords
With the UAE and three other Arab countries having entered the Abraham Accords while Washington seeks to bring more in, there is good reason to expect friction surrounding this normalisation question to intensify. States such as Iraq, which stand against forming full-fledged diplomatic ties with Tel Aviv, are under growing pressure to make their decades-old positions against normalisation clear to domestic, regional, and international audiences.
In Iraq’s case, lawmakers have shown that they’re willing to support extreme measures to signal Baghdad’s rigid stance on this issue. Yet, it remains to be seen what consequences this legislation produces.
Giorgio Cafiero is the CEO of Gulf State Analytics.
Follow him on Twitter: @GiorgioCafiero